Trying To Cut Back On Alcohol With Gluten? Tips That Can Help
With life upturned over the past couple of years with COVID-19, every aspect of our lives has been affected. Many people choose to change their drinking habits because decisions made now will be some of the most important in generations. During this time of crisis, the world’s medical community is more focused on patients diagnosed with corona. Hospitals, being outnumbered by patients affected by the pandemic, barely have the scope and space for accommodating people with other illnesses.
You might think that a regular glass of distilled scotch or whiskey is good for your mental health and heart, but that’s only true for light sippers. Alcohol is toxic to your cells, and heavy drinking can take a toll on the liver, causing cirrhosis and other problems. Gluten grains, most often used to produce vodka, whiskey, bourbon, rye, and gin, are hard to avoid, but one doesn’t have to go completely dry to be safer and lower the number of injuries or injuries sick days. Keep reading for some tips to cut back on drinking habits, such as alcoholic drinks with gluten that may threaten your health.
1. Switch to plain rum or mead
Plain rum, mead, and tequilas are gluten-free. But a gluten-intolerant person may have their doubts and ask, “is mead gluten-free?” Honey is the primary ingredient in mead, and as long as the drink is not aged in a barrel or a cask that once held a product containing gluten such as beer, you’re safe. Plain rum or mead without added mixers in cocktails erases the risks of gluten.
Records of crystals from another source follow:
┌──
[1]
A relaxed RbScAg crystal, computed with GGA-PBE.

a b c (Å): 5.281 5.281 5.281
angles (deg): 60.00 60.00 60.00
Element x y z (fractional)
Rb: 0.000 0.000 0.000
Sc: 0.250 0.250 0.250
Ag: 0.750 0.750 0.750

Electronic total energy (eV/atom): -2.1868
Space group: F-43m
Magnetization (μB per formula unit): 1.30

[2]
A relaxed RbScAgSe3 crystal, computed with GGA-PBE.

a b c (Å): 8.136 8.136 10.410
angles (deg): 90.00 90.00 152.07
Element x y z (fractional)
Rb: 0.245 0.755 0.750
Rb: 0.755 0.245 0.250
Sc: 0.000 0.000 0.000
Sc: 0.000 0.000 0.500
Ag: 0.462 0.538 0.250
Ag: 0.538 0.462 0.750
Se: 0.071 0.929 0.250
Se: 0.380 0.620 0.036
Se: 0.380 0.620 0.464
Se: 0.620 0.380 0.536
Se: 0.620 0.380 0.964
Se: 0.929 0.071 0.750

Electronic total energy (eV/atom): -4.4584
Space group: Cmcm
Magnetization (μB per formula unit): 0.01

[3]
A relaxed RbScAgSe3 crystal, computed with GGA-PBE.

a b c (Å): 15.542 3.961 10.640
angles (deg): 90.00 90.00 90.00
Element x y z (fractional)
Rb: 0.234 0.250 0.047
Rb: 0.266 0.750 0.547
Rb: 0.734 0.250 0.453
Rb: 0.766 0.750 0.953
Sc: 0.021 0.250 0.346
Sc: 0.479 0.750 0.846
Sc: 0.521 0.250 0.154
Sc: 0.979 0.750 0.654
Ag: 0.020 0.750 0.095
Ag: 0.480 0.250 0.595
Ag: 0.520 0.750 0.405
Ag: 0.980 0.250 0.905
Se: 0.090 0.250 0.579
Se: 0.090 0.750 0.858
Se: 0.132 0.750 0.278
Se: 0.368 0.250 0.778
Se: 0.410 0.250 0.358
Se: 0.410 0.750 0.079
Se: 0.590 0.250 0.921
Se: 0.590 0.750 0.642
Se: 0.632 0.750 0.222
Se: 0.868 0.250 0.722
Se: 0.910 0.250 0.142
Se: 0.910 0.750 0.421

Electronic total energy (eV/atom): -4.4778
Space group: Pnma
Magnetization (μB per formula unit): 0.00

Number 1 is which compound? RbScAg
└──
Back to the page:
2. Break the habit
-- begin --
Here is an optimized crystal structure of TmNpIn2Te4 from the Alexandria database. Energies are from PBE.

Results
E_form (uncorrected) = -0.703 eV/atom
total magnetization = 4.0 μB per formula unit
symmetry = P2/m
DOS(E_F) = 7.16 states/eV/f.u.

Lattice parameters (Å, degrees): 7.668 4.398 8.499 90.00 107.34 90.00
Sites, in units of the cell vectors:
Tm  0.000  0.000  0.000
Np  0.500  0.500  0.000
In  0.000  0.500  0.500
In  0.500  0.000  0.500
Te  0.232  0.500  0.217
Te  0.254  0.000  0.781
Te  0.746  0.000  0.219
Te  0.768  0.500  0.783


Entry 1:
First-principles (PBE-GGA) data for a relaxed structure of Nd4TlAg2Au, as listed in Alexandria.

Unit cell a=5.3522 b=5.3522 c=26.1807 alpha=90.00 beta=90.00 gamma=120.00
Space group R-3m (No. 166, hexagonal axes)
Inequivalent atoms, fractional coordinates:
Nd  0.0000  0.0000  0.1196 x6
Nd  0.0000  0.0000  0.3705 x6
Tl  0.0000  0.0000  0.5000 x3
Ag  0.0000  0.0000  0.2440 x6
Au  0.0000  0.0000  0.0000 x3

Results
Calculated formation energy = -0.421 eV/atom

***

Entry 2:
First-principles (PBE-GGA) data for a relaxed structure of Nd4TlAgAu2, as listed in Alexandria.

Unit cell a=5.3347 b=5.3347 c=26.1395 alpha=90.00 beta=90.00 gamma=120.00
Space group R-3m (No. 166, hexagonal axes)
Inequivalent atoms, fractional coordinates:
Nd  0.0000  0.0000  0.1209 x6
Nd  0.0000  0.0000  0.3719 x6
Tl  0.0000  0.0000  0.5000 x3
Ag  0.0000  0.0000  0.0000 x3
Au  0.0000  0.0000  0.2467 x6

Results
Calculated formation energy = -0.521 eV/atom

***

Entry 3:
First-principles (PBE-GGA) data for a relaxed structure of NdTmAgAu, as listed in Alexandria.

Unit cell a=3.6035 b=3.6035 c=7.4748 alpha=90.00 beta=90.00 gamma=90.00
Space group P4mm (No. 99)
Inequivalent atoms, fractional coordinates:
Nd  0.0000  0.0000  0.0000 x1
Tm  0.0000  0.0000  0.4884 x1
Ag  0.5000  0.5000  0.7200 x1
Au  0.5000  0.5000  0.2724 x1

Results
Calculated formation energy = -0.576 eV/atom

***

Entry 4:
First-principles (PBE-GGA) data for a relaxed structure of NdTmAgAu, as listed in Alexandria.

Unit cell a=7.3104 b=7.3104 c=7.3104 alpha=90.00 beta=90.00 gamma=90.00
Space group F-43m (No. 216)
Inequivalent atoms, fractional coordinates:
Nd  0.0000  0.0000  0.0000 x4
Tm  0.0000  0.0000  0.5000 x4
Ag  0.2500  0.2500  0.2500 x4
Au  0.2500  0.2500  0.7500 x4

Results
Calculated formation energy = -0.545 eV/atom
-- stop --
If you’re dependent on whiskey or gin, many of your social activities include or are based around drinking, and you can’t easily go a day without it; it’s high time you considered breaking the habit. It’s better to change what you drink if it’s only about the intoxication. Opt for an alcoholic beverage, such as mead or wine, with less harmful after-effects in the long term. Also, one can expect a change
of taste to reduce the frequency of drinking.
3. Consult with a qualified professional
If you have a mild dependence on alcohol, you may be able to cut back on your own with perseverance. But, if you are severely dependent and plan to quit drinking alcohol altogether, it’s better to consult with a qualified professional, psychologist, or support. Counseling treatments like behavioral and cognitive therapies and mindfulness-based relapse intervention help realign the thought process of the person and can prevent going back to heavy drinking or struggling with adverse withdrawal symptoms. They also organize community events such as “Dry July” to motivate you.
4. Replace alcohol with other beverages
People who are frequent with their alcohol consumption are much more likely to develop dependence symptoms. They may start smoking excessively to keep their mouths busy and counter their withdrawal signs. Alternating between coffee, water, soda and lime, or kombucha with the sugar content of no more than 5g/100ml can help quench thirst, give a tasty and refreshing treat, and gradually defamiliarize the person with the taste of alcohol.
5. Change in lifestyle
If the amount of alcohol you’ve been drinking puts you at risk of developing a potbelly or other problems, you may want to cut down or moderate your consumption. Regular exercising, jogging or walking can increase flexibility and help reduce weight. Once you see the improved version in the mirror, you might want to avoid habits that can ruin your body positivity.
ConclusionThe key to successfully cutting down on alcohol with gluten is to study its harmful effects and find what works best for you.